Mon. Mar 31st, 2025

Who was he?

I think the same question each time I see him (every day: the same man in the same spot, holding the same sign that tells everyone who he is, now—begging the question: who did he used to be, at some point in the past?) at the intersection he has stood at for several months now: the cardboard sign he holds both question and answer: Homeless veteran (the explanation), can you put some pocket change in this plastic cup (the question). The sign says he is a veteran. Okay. And even if he isn’t actually a veteran, he has been homeless long enough to be a veteran; or if he is not actually homeless, he has been acting the part long enough to earn the title. Either way, it is time for a promotion.

And so, I think, this is the problem with the homeless problem: it wasn’t (some of us learned—too late) the ones who hustled or even approached you who were down and out; they were the ardent ones, half the time they weren’t even homeless; it is the ones you never even saw, even when they sprawled on the concrete right beside you, the ones who were down, the ones who were out, the ones who had nothing to ask for, nothing to say, nothing to do except wait, sit it out until time or the whiter man’s burden delivered them that eventual, inevitable verdict. It was the ones you could afford not to be afraid of, the ones who could not even hurt themselves, because they’d already dug as deep inside as their ashen fingers could reach, the ones too dead to tear out their hearts, but not dead enough to unloose their souls, the ones who learned (too late) that death was only impatient for the fools who feared it, it had all the time in the world for those who the world owed nothing except the decency of an overdue death.

Could that be me?

The ultimate fear, the oldest worry. Who knew how it happened, who could make sense of it? And yet. These people do not wake up one random morning, on the streets and out of their minds. Or do they? If you believed the signs the man on the corner held, the government did this to him—and could do it to anyone else: that was his message, his mission.

The problem with the homeless problem is that these people who don’t see you and can’t see themselves are all chasing something they can no longer name: memories. Or, even worse, it is the memories that are chasing them, speaking in tongues they long ago ceased to understand.

A memory:

Newark Airport. That shithole. A place has to be exceptionally beautiful, appalling, or incomprehensibly pointless in order to be easily remembered years after a brief visit.

When I was a kid, (I couldn’t have been much older than ten) my father and I had a layover in Newark airport. Even then, I was perceptive enough to understand that this was no place I ever needed to return voluntarily.

An unassuming older man (at any rate, he was noticeably older than my old man, which made him old) sat in one of those impossibly plain plastic chairs, with his pants leg rolled up. It wasn’t until we got closer that I realized two things: he was alone, and he was scratching at a series of scabs on his shin. For some reason he looked our way at the moment we passed him, and after sizing us up, he stood and amiably approached my father.

“Sir, did you need someone to help you and your son carry your bags?”

“No thanks, we’re okay,” my pops replied, looking ahead and picking up the pace.

The man was persistent. In the space of fifteen seconds—my father denied him three times—my emotions slid from the appreciation of possibly having someone carry my suitcase for me, to the vague, uneasy sense that my father was being somehow rude, a jerk, to the unsettling awareness of recognition. I sensed something I’d seen plenty of, but never before in any person older than myself: fear. I saw it in his eyes, and felt it in my insides.

As we walked away my old man waited until we were at a charitable distance, then looked at me meaningfully and offered the somber assertion: That’s as low as you can go. I asked him to elaborate, as was my style, and he was either unwilling or unable to add anything to his observation, as was his style. It wasn’t that I didn’t understand what my father was saying, I understood him perfectly. It was because I understood him that I needed him to say more, to talk to me a little longer about it, about anything, anything to interrupt that silence and the sudden thoughts that accompanied it.

It’s easy to believe that people like this exist for our sakes: they are dying lessons on how not to live, warnings of what could happen if you weren’t careful and found yourself scratching at scabs in the world’s ugliest airport. We forget, or we don’t allow ourselves to entertain the idea, that these people have histories; that these shadows and signposts don’t happen to serve a purpose for anyone else; they were once actual people themselves.

I realize, now, my father was wrong about one thing. That’s not as low as you can go. You can go lower, a whole lot lower. But perhaps it’s more disturbing to see the ones that are on the way down, it’s somehow easier to accept the ones at the bottom of the ocean; it’s the ones who are sinking, who are still within reach, who are drowning noisily in front of you, who sometimes have the temerity to ask you to hold out a hand. These are the ones we can scarcely tolerate, because every so often we look at them and see ourselves.

# Records of crystals from another source follow
********
10
Lattice="-2.730 2.730 5.082 2.730 -2.730 5.082 2.730 2.730 -5.082" Properties=species:S:1:pos:R:3 comment="MnF4 (PBE+U, relaxed)" e_tot_ev_per_atom=-4.72 delta_e_f_ev_per_atom=-2.0638 pbc="T T T"
Mn 2.730 0.000 0.000
Mn 0.000 2.730 0.000
F 3.648 0.918 -1.224
F 0.918 1.812 -1.224
F 3.648 0.918 1.224
F 0.918 1.812 1.224
F 1.812 0.918 3.857
F -0.918 1.812 3.857
F 1.812 0.918 6.306
F -0.918 1.812 6.306

***

10
Lattice="5.555 0.000 0.000 0.000 4.742 0.000 -2.386 0.000 4.775" Properties=species:S:1:pos:R:3 comment="MnF4 (PBE+U, relaxed)" e_tot_ev_per_atom=-5.00 delta_e_f_ev_per_atom=-2.3390 pbc="T T T"
Mn 0.000 0.000 0.000
Mn -1.193 2.371 2.388
F -0.053 1.056 1.593
F -1.246 1.315 3.980
F 0.233 3.194 3.013
F 1.426 3.919 0.625
F 1.742 0.823 4.150
F 2.935 1.548 1.762
F 4.415 3.427 0.795
F 3.221 3.686 3.183

***

16
Lattice="5.586 0.000 0.000 0.000 7.542 0.000 0.000 0.000 5.321" Properties=species:S:1:pos:R:3 comment="MnF3 (PBE+U, relaxed)" e_tot_ev_per_atom=-5.73 delta_e_f_ev_per_atom=-2.7624 pbc="T T T"
Mn 0.000 0.000 0.000
Mn 0.000 3.771 0.000
Mn 2.793 0.000 2.661
Mn 2.793 3.771 2.661
F 0.066 1.885 0.448
F 1.086 0.295 3.849
F 1.086 3.476 3.849
F 1.707 4.066 1.188
F 1.707 7.247 1.188
F 2.727 5.656 3.109
F 2.859 1.885 2.212
F 3.878 0.295 4.133
F 3.878 3.476 4.133
F 4.500 4.066 1.472
F 4.500 7.247 1.472
F 5.520 5.656 4.873

***

8
Lattice="2.690 1.553 4.514 -2.690 1.553 4.514 0.000 -3.106 4.514" Properties=species:S:1:pos:R:3 comment="MnF3 (PBE+U, relaxed)" e_tot_ev_per_atom=-5.70 delta_e_f_ev_per_atom=-2.7387 pbc="T T T"
Mn 0.000 0.000 0.000
Mn 0.000 0.000 6.771
F -1.526 0.463 5.643
F -1.164 -1.090 7.900
F 0.362 -1.553 5.643
F -0.362 1.553 7.900
F 1.164 1.090 5.643
F 1.526 -0.463 7.900

***

16
Lattice="4.810 0.000 0.000 0.000 4.829 0.000 -4.242 0.000 9.173" Properties=species:S:1:pos:R:3 comment="MnF3 (PBE+U, relaxed)" e_tot_ev_per_atom=-5.68 delta_e_f_ev_per_atom=-2.7135 pbc="T T T"
Mn 0.111 0.015 1.582
Mn -2.010 2.400 6.169
Mn 2.578 2.429 3.004
Mn 0.457 4.815 7.591
F -0.874 1.017 2.892
F -2.995 1.398 7.479
F -1.215 3.282 4.727
F 0.906 3.962 0.140
F -0.677 1.085 6.175
F 1.444 1.330 1.588
F -0.876 3.499 7.585
F 1.245 3.744 2.998
F -0.338 0.867 9.034
F 1.783 1.547 4.447
F 3.563 3.431 1.694
F 1.442 3.813 6.281

***

16
Lattice="5.418 0.000 0.000 0.000 7.803 0.000 -0.001 0.000 5.419" Properties=species:S:1:pos:R:3 comment="MnF3 (PBE+U, relaxed)" e_tot_ev_per_atom=-5.70 delta_e_f_ev_per_atom=-2.7420 pbc="T T T"
Mn 0.000 0.000 0.000
Mn 0.000 3.901 0.000
Mn 2.709 0.000 2.709
Mn 2.709 3.901 2.709
F 0.070 1.951 0.004
F 1.117 3.952 1.672
F 1.117 7.752 1.672
F 1.673 3.962 4.299
F 1.673 7.741 4.299
F 2.633 1.951 2.729
F 2.785 5.852 2.690
F 3.744 0.061 1.120
F 3.744 3.840 1.120
F 4.300 0.050 3.747
F 4.300 3.851 3.747
F 5.347 5.852 5.415

----------

The following is a DFT calculation (PBE) of a relaxed structure of Na10Zr4Si9Sn4S3O48.

Calculated values
**SG**: P1, No. 1
**Energy relative to the elements**: -2.73 eV per atom
**Crystal system**: triclinic
********

*Excerpted from a work-in-progress.
